### Input
********
No. 1
A single C5H11NO2 molecule at a distorted geometry, computed with ωB97M-V/def2-TZVPD.

## Properties
Charge: 0
HOMO, Eh: -0.3079
ΔE to the lowest compared entry with this formula, charge and spin, kJ/mol: 380.69
2S+1: 1
Frontier orbital gap, eV: 9.105

Last column: natural (NBO) charge in e.
CARTESIAN COORDINATES (ANGSTROEM)
C  2.61  1.05  -0.18  -0.480
C  1.89  0.04  -0.67  -0.025
N  0.35  -0.06  -0.76  -0.187
O  -0.13  -1.21  -1.38  -0.586
C  -0.40  0.33  0.40  -0.078
C  -0.36  -0.68  1.54  -0.644
C  -1.99  0.55  -0.13  -0.050
O  -2.64  -0.68  -0.34  -0.734
H  2.16  1.90  0.32  0.200
H  3.69  1.08  -0.31  0.218
H  2.39  -0.79  -1.16  0.197
H  0.06  -1.04  -2.32  0.484
H  -0.08  1.31  0.75  0.212
H  -0.55  -1.70  1.19  0.221
H  0.63  -0.67  2.01  0.214
H  -1.11  -0.45  2.29  0.218
H  -1.98  1.14  -1.05  0.162
H  -2.53  1.10  0.65  0.173
H  -2.01  -1.24  -0.84  0.485



No. 2
3 unconnected molecules or ions with the total composition C17H41IN2O6Si at a distorted geometry, computed with ωB97M-V/def2-TZVPD.

## Properties
Charge: 0
HOMO, Eh: -0.3374
2S+1: 1
Frontier orbital gap, eV: 9.576

Last column: natural (NBO) charge in e.
CARTESIAN COORDINATES (ANGSTROEM)
C  0.59  -1.87  0.43  -0.617
C  1.99  -1.85  1.02  -0.067
O  2.59  -3.12  0.86  -0.524
C  3.65  -3.34  1.74  -0.067
C  4.74  -2.26  1.70  -0.093
O  4.99  -1.82  0.39  -0.539
C  5.73  -0.63  0.34  -0.081
C  5.24  0.30  -0.77  -0.071
O  5.92  1.54  -0.64  -0.546
C  5.30  2.43  0.30  -0.494
Si  6.57  2.98  1.60  1.099
C  6.66  1.87  3.14  -0.972
C  5.41  1.86  3.94  0.532
O  4.64  1.02  3.95  -0.503
I  5.03  3.60  5.20  -0.043
H  0.16  -0.89  0.57  0.221
H  0.02  -2.63  0.96  0.204
H  0.66  -2.09  -0.63  0.211
H  2.00  -1.48  2.05  0.158
H  2.56  -1.11  0.44  0.160
H  4.12  -4.31  1.57  0.188
H  3.29  -3.35  2.77  0.158
H  4.41  -1.46  2.36  0.168
H  5.66  -2.65  2.14  0.170
H  6.79  -0.81  0.14  0.174
H  5.62  -0.10  1.28  0.155
H  4.16  0.43  -0.73  0.168
H  5.49  -0.13  -1.73  0.193
H  4.99  3.31  -0.27  0.213
H  4.41  1.99  0.75  0.203
H  7.90  2.94  0.94  -0.151
H  6.35  4.39  1.98  -0.157
H  6.98  0.86  2.93  0.270
H  7.44  2.29  3.78  0.274
C  -0.50  1.66  -0.79  -0.248
O  -1.20  0.44  -0.88  -0.554
C  -2.55  0.54  -1.29  -0.070
C  -2.76  0.68  -2.80  -0.089
C  -2.44  2.08  -3.34  -0.614
N  -1.98  -0.30  -3.56  -0.823
H  -1.15  2.48  -0.45  0.171
H  -0.04  1.93  -1.74  0.168
H  0.30  1.53  -0.06  0.184
H  -3.02  -0.39  -0.97  0.188
H  -3.06  1.35  -0.74  0.162
H  -3.82  0.50  -2.99  0.202
H  -1.37  2.25  -3.43  0.201
H  -2.87  2.20  -4.34  0.220
H  -2.86  2.85  -2.70  0.200
H  -2.28  -1.24  -3.28  0.352
H  -1.02  -0.24  -3.24  0.353
C  -6.56  1.03  -1.19  -0.250
O  -5.80  -0.17  -1.24  -0.557
C  -5.90  -0.99  -0.09  -0.074
C  -7.15  -1.88  -0.04  -0.082
C  -8.42  -1.13  0.33  -0.614
N  -7.37  -2.59  -1.30  -0.821
H  -6.60  1.44  -0.18  0.171
H  -7.57  0.87  -1.57  0.170
H  -6.07  1.76  -1.84  0.188
H  -5.02  -1.64  -0.13  0.183
H  -5.80  -0.38  0.82  0.166
H  -6.97  -2.63  0.74  0.190
H  -8.82  -0.55  -0.50  0.202
H  -9.20  -1.83  0.62  0.222
H  -8.25  -0.45  1.17  0.202
H  -6.56  -3.18  -1.50  0.351
H  -7.35  -1.90  -2.05  0.354



No. 3
2 unconnected molecules or ions with the total composition C17H23 at a distorted geometry, computed with ωB97M-V/def2-TZVPD.

## Properties
Charge: +1
HOMO, Eh: -0.4072
ΔE to the lowest compared entry with this formula, charge and spin, kJ/mol: 115.53
2S+1: 1
Frontier orbital gap, eV: 5.165

Last column: natural (NBO) charge in e.
CARTESIAN COORDINATES (ANGSTROEM)
C  -2.77  -0.87  2.94  -0.620
C  -1.65  -1.39  2.02  -0.350
C  -0.28  -1.56  2.65  -0.067
C  0.39  -2.82  2.75  0.037
C  -0.35  -4.15  2.69  -0.641
C  1.77  -2.85  2.99  -0.256
C  2.49  -1.67  3.19  0.116
C  3.97  -1.71  3.32  -0.652
C  1.80  -0.47  3.31  -0.256
C  0.42  -0.40  3.09  0.016
C  -0.28  0.92  3.32  -0.628
H  -3.59  -1.61  2.94  0.228
H  -2.43  -0.70  3.97  0.234
H  -3.23  0.09  2.60  0.194
H  -1.97  -2.39  1.64  0.227
H  0.38  -4.97  2.55  0.229
********

### Work order
Quote the material further up from the line with "molecule at" to the end word for word, please.

### Done
A single C5H11NO2 molecule at a distorted geometry, computed with ωB97M-V/def2-TZVPD.

## Properties
Charge: 0
HOMO, Eh: -0.3079
ΔE to the lowest compared entry with this formula, charge and spin, kJ/mol: 380.69
2S+1: 1
Frontier orbital gap, eV: 9.105

Last column: natural (NBO) charge in e.
CARTESIAN COORDINATES (ANGSTROEM)
C  2.61  1.05  -0.18  -0.480
C  1.89  0.04  -0.67  -0.025
N  0.35  -0.06  -0.76  -0.187
O  -0.13  -1.21  -1.38  -0.586
C  -0.40  0.33  0.40  -0.078
C  -0.36  -0.68  1.54  -0.644
C  -1.99  0.55  -0.13  -0.050
O  -2.64  -0.68  -0.34  -0.734
H  2.16  1.90  0.32  0.200
H  3.69  1.08  -0.31  0.218
H  2.39  -0.79  -1.16  0.197
H  0.06  -1.04  -2.32  0.484
H  -0.08  1.31  0.75  0.212
H  -0.55  -1.70  1.19  0.221
H  0.63  -0.67  2.01  0.214
H  -1.11  -0.45  2.29  0.218
H  -1.98  1.14  -1.05  0.162
H  -2.53  1.10  0.65  0.173
H  -2.01  -1.24  -0.84  0.485



No. 2
3 unconnected molecules or ions with the total composition C17H41IN2O6Si at a distorted geometry, computed with ωB97M-V/def2-TZVPD.

## Properties
Charge: 0
HOMO, Eh: -0.3374
2S+1: 1
Frontier orbital gap, eV: 9.576

Last column: natural (NBO) charge in e.
CARTESIAN COORDINATES (ANGSTROEM)
C  0.59  -1.87  0.43  -0.617
C  1.99  -1.85  1.02  -0.067
O  2.59  -3.12  0.86  -0.524
C  3.65  -3.34  1.74  -0.067
C  4.74  -2.26  1.70  -0.093
O  4.99  -1.82  0.39  -0.539
C  5.73  -0.63  0.34  -0.081
C  5.24  0.30  -0.77  -0.071
O  5.92  1.54  -0.64  -0.546
C  5.30  2.43  0.30  -0.494
Si  6.57  2.98  1.60  1.099
C  6.66  1.87  3.14  -0.972
C  5.41  1.86  3.94  0.532
O  4.64  1.02  3.95  -0.503
I  5.03  3.60  5.20  -0.043
H  0.16  -0.89  0.57  0.221
H  0.02  -2.63  0.96  0.204
H  0.66  -2.09  -0.63  0.211
H  2.00  -1.48  2.05  0.158
H  2.56  -1.11  0.44  0.160
H  4.12  -4.31  1.57  0.188
H  3.29  -3.35  2.77  0.158
H  4.41  -1.46  2.36  0.168
H  5.66  -2.65  2.14  0.170
H  6.79  -0.81  0.14  0.174
H  5.62  -0.10  1.28  0.155
H  4.16  0.43  -0.73  0.168
H  5.49  -0.13  -1.73  0.193
H  4.99  3.31  -0.27  0.213
H  4.41  1.99  0.75  0.203
H  7.90  2.94  0.94  -0.151
H  6.35  4.39  1.98  -0.157
H  6.98  0.86  2.93  0.270
H  7.44  2.29  3.78  0.274
C  -0.50  1.66  -0.79  -0.248
O  -1.20  0.44  -0.88  -0.554
C  -2.55  0.54  -1.29  -0.070
C  -2.76  0.68  -2.80  -0.089
C  -2.44  2.08  -3.34  -0.614
N  -1.98  -0.30  -3.56  -0.823
H  -1.15  2.48  -0.45  0.171
H  -0.04  1.93  -1.74  0.168
H  0.30  1.53  -0.06  0.184
H  -3.02  -0.39  -0.97  0.188
H  -3.06  1.35  -0.74  0.162
H  -3.82  0.50  -2.99  0.202
H  -1.37  2.25  -3.43  0.201
H  -2.87  2.20  -4.34  0.220
H  -2.86  2.85  -2.70  0.200
H  -2.28  -1.24  -3.28  0.352
H  -1.02  -0.24  -3.24  0.353
C  -6.56  1.03  -1.19  -0.250
O  -5.80  -0.17  -1.24  -0.557
C  -5.90  -0.99  -0.09  -0.074
C  -7.15  -1.88  -0.04  -0.082
C  -8.42  -1.13  0.33  -0.614
N  -7.37  -2.59  -1.30  -0.821
H  -6.60  1.44  -0.18  0.171
H  -7.57  0.87  -1.57  0.170
H  -6.07  1.76  -1.84  0.188
H  -5.02  -1.64  -0.13  0.183
H  -5.80  -0.38  0.82  0.166
H  -6.97  -2.63  0.74  0.190
H  -8.82  -0.55  -0.50  0.202
H  -9.20  -1.83  0.62  0.222
H  -8.25  -0.45  1.17  0.202
H  -6.56  -3.18  -1.50  0.351
H  -7.35  -1.90  -2.05  0.354



No. 3
2 unconnected molecules or ions with the total composition C17H23 at a distorted geometry, computed with ωB97M-V/def2-TZVPD.

## Properties
Charge: +1
HOMO, Eh: -0.4072
ΔE to the lowest compared entry with this formula, charge and spin, kJ/mol: 115.53
2S+1: 1
Frontier orbital gap, eV: 5.165

Last column: natural (NBO) charge in e.
CARTESIAN COORDINATES (ANGSTROEM)
C  -2.77  -0.87  2.94  -0.620
C  -1.65  -1.39  2.02  -0.350
C  -0.28  -1.56  2.65  -0.067
C  0.39  -2.82  2.75  0.037
C  -0.35  -4.15  2.69  -0.641
C  1.77  -2.85  2.99  -0.256
C  2.49  -1.67  3.19  0.116
C  3.97  -1.71  3.32  -0.652
C  1.80  -0.47  3.31  -0.256
C  0.42  -0.40  3.09  0.016
C  -0.28  0.92  3.32  -0.628
H  -3.59  -1.61  2.94  0.228
H  -2.43  -0.70  3.97  0.234
H  -3.23  0.09  2.60  0.194
H  -1.97  -2.39  1.64  0.227
H  0.38  -4.97  2.55  0.229